How to create an app for online courses
Written by Angelina Casanova on

How to create an app for online courses
This is also the case for education: classic courses become boring or uninteresting. Compared to the attractiveness of the screens and the numerous contents they offer, most of the courses are no longer adequate with the evolution of society.
Learning methods must adapt to these changes, and digital courses are becoming more and more popular! This is why offering an online course app has many advantages: It is a format adapted to all profiles, depending on the age of your target, and your learning field. Creating an app will allow you to differentiate yourself by upsetting traditional methods thanks to diversified types of content!
In this article, we'll show you how to make an app by following a few easy steps following the examples of 3 apps: Learn&Fun, Fast Piano and Lotus Yoga.
From traditional learning to E-Learning: Identify the challenges
In a school setting, a student's maximum attention span in class is about 10 minutes. There are several factors that lead to this disconnect: Teaching methods, personal issues, general atmosphere, but the main cause is none other than digitalization. Information is instantly available on the web and learners are now used to more attractive formats.
Music, art and sports courses face different problems. In recent years, new obstacles have appeared, the population is becoming more sedentary and cultural and sports activities are less attractive. The commute, the crowds, time management, and budget restrictions are all factors that dissuade people from participating in these activities, and more and more of them are doing so at home. Social connections are now digital, so going out is not as important as it once was.
Creating an online course app is one solution. At home or away, alone or with friends, everyone can adapt their learning, and choose what they want to learn and how. By gathering all your content in one interface, your app will become as attractive as social networks.
1. Choose a Theme for your app
This is the first step to creating your app for your online courses.
While your app comes automatically with a template and theme, in the back office you will find more than 25 different themes created by our designers.
For example, the Learn&Fun app uses the Venice theme. The theme reflects the company’s image perfectly: colorful yet clear and clean. But you can choose the theme that best fits your design guide. But you can choose the theme that best fits your design guidelines. Fast Piano the Black theme and the Lotus Yoga app uses the Diamond theme.
2. Build your app Home page
The Home is the first screen users will see when opening your app. It is therefore an important feature of your app, both visually and practically. With GoodBarber, the Home lets you choose which content to highlight upon opening the app.
You can see in the paragraph about UX and content how you can optimize your modular Home by adding different types of widgets.
You will see further below in the article and of course your audience. For example, Learn&Fun specialized in school learning and creative activities. It is therefore intended for a young audience, with several specific needs. Their Home Is simple, intuitive, and comprehensive since it is intended for children. It has a clear layout and the content is arranged by theme so that users can easily find what they are looking for. While Lotus Yoga is an app for online meditation and yoga classes, which is therefore aimed at a completely different audience. Their Home highlights their preferred lesson format: videos.
*The content that initially appears inside the app is just set as an example, you can change and adjust it as you fill your sections with your own.
3. Build your Navigation Menu of your app
The Menu is used for secondary navigation within your app. Your Home already provides points of entry towards the sections of your choice, which is why you can even choose the option to not display a Menu at all, depending on your app. If you do choose to enable a Menu, you can choose between 7 different types of "menus" or browsing modes, to further distribute traffic within your app.
Building the Menu can be achieved independently of the number of sections in the app for complete control over the navigation of your app.
Here for Learn&Fun, we’ve selected the TabBar template. Visible and accessible at all times, it allows easy access to the content offered thanks to the menus in which the different courses are organized. As it’s designed with children in mind, it's soft and colorful, attractive, clear, and illustrated with icons that make it easy for youngsters to understand.
Your Menu can also feature links and shortcuts, to point towards destinations (internal or external), as well as titles and separators, to prioritize information within the menu (these two serve design purposes).
You can further customize your app by featuring your logo inside the Header, on the Home as well as within sections, where each section Header can be customized independently.
4. Add your Content to your online courses app
This is actually the most important part of our app!
To begin with, using the different sections organize each type of content (lessons, videos, podcasts, ), activities (E.g.: Exercises, practices, Events ...), and other information relevant to the app (E.g.:Gallery, Profile, etc), which are in the original menu.
Once the app structure is set, it's time to start adding the actual content inside the sections you've created.
If the content is created inside a CMS section, everything can be done from the GoodBarber back office, from writing articles to creating events.
If you choose to import content from external sources like YouTube or external Podcast, , you simply need to use one of our connectors and to configure the settings of the section when creating it - and if you need a helping hand you can check the detailed Online Helps or contact Support.
We're almost there ! Your app will be ready soon!
5. Design your Launch Screen and App Icon
You covered design and content, it's time for some final adjustments.
The launch screen is the first thing users will see when opening your app (before the Home). It will be displayed for a few seconds while your app’s content is loading (in a browser as well). You can upload an image you already have (make sure you respect the dimensions), but it is also possible to design it directly from the back office, using the Wizard Tool.
For the app icon, which will be shown on the home screen of users, you also need to comply with different dimensions, for the different operating systems, and for web app specifics (such as the favicon).
Creating the right app icon can be a little tricky: it needs to be self-explanatory while respecting the Stores guidelines. For instance, you might need to tweak your logo somewhat, so that it adapts to a square format.
Last but not least, don't forget to enter the name of your app .
The field that appears below the icon preview is the name of the app as it will appear on the Home Screen of the user's smartphone, for today's example: "FastPiano" and “Lotus Yoga”.
6. Test and publish your eLearning app
Your online course app is now ready! But before sharing it with the world, you need to carry out a series of tests to check if everything is running as you've planned. You’ll need to test all versions of the app that you’re planning to publish (native iOS, native Android, PWA, etc.), using different OS and different browsers as well.
GoodBarber provides a test app you can use to run preliminary checks on your app. The most optimal way to test your app, however, is through its AdHoc version, which is the actual file of the app that will be submitted to the stores that you can download onto and run on your device.
Other options are available: For native iOS apps, there is a specific tool provided by Apple: TestFlight. It allows testing your app before it goes online on the App Store. Android offers alternatives to Testflight.
Once you’re satisfied with the results of your tests, you can move on to the next step: publishing your app
Publishing an app can be a complex and slightly overwhelming process, starting with the mandatory step of registering as a developer on both Android and iOS platforms. The Apple developer account is $99/year. The Google Publisher account consists of a on-time fee of $25. Keep in mind that Apple requires the owner of the content in the app to match the owner of the developer account, so if you publish multiple iOS apps for different projects, each will need to have its own individual developer account.
The process of submitting an app to the App Store is slightly complex and requires thorough preparation. Apple reviews each app before approving them for release. Before you submit your app for review, you will need to provide a collection of information (Icon, app preview/ screenshots) and metadata (the name of your app, its category, a detailed description, and additional keywords for ASO). The review process can take a few days, Apple will notify you by email when your app is public.
For Google Play, after creating your app on your Google Play Console you will need to register the information that will be displayed on Google Play. It includes mandatory information such as title, short description, full description, graphic assets (pictures, app screenshots), category, contact details, privacy policy. Once the Store listing is completed, it’s time to upload your app bundle. (it contains all the elements of your application). Then follow the guide on the Google Console to deploy and publish your app. If your app is approved it will be released within a few hours.
Luckily, publishing a Progressive Web App is a lot simpler. Hosting is included with your GoodBarber subscription.
An app for every type of course and target audience

Once this analysis is done, you can choose the right design and interface. The user experience is the key point of the success of an app, that's why it's important to integrate the most coherent functionalities with your target while tuning the UX to their expectations. Here are some examples of apps created for different types of online courses.
1/ An educational app
The Learn&Fun app is specialized in school learning and creative activities. It is therefore intended for a young audience, with several specific needs: Learn fundamental course concepts according to age and level, while having fun through various fun and creative activities.
The home of this app is simple, intuitive and comprehensive since it is intended for children. It has a clear layout and the content is arranged by theme so that users can easily find what they are looking for.
The choice of the navigation bar was made in favor of a TabBar, visible and accessible at all times. It allows easy access to the content offered thanks to the menus in which the different courses are organized. These menus are very intuitive, and the entire design of the app is designed with children in mind: soft and colorful, attractive, clear, and illustrated with icons that make it easy for youngsters to understand.
The Contact Us and Gallery sections are intended for children as well as parents and allow to unite a community of users. They can share their photos, their moments, and make your app more active and attractive. It's an added value that builds loyalty and sends a trusted image to your users.

Record 1
A plane-wave DFT calculation with GGA-PBE was carried out for a geometry-optimized PmZn2Hg structure.

total magnetic moment = 0.00 μB per cell
E_form = -0.304 eV/atom

a = 4.899 Å, b = 4.899 Å, c = 4.899 Å
α = 60.00°, β = 60.00°, γ = 60.00°
Element x y z (fractional)
Zn 0.750 0.750 0.750
Zn 0.250 0.250 0.250
Pm 0.000 0.000 0.000
Hg 0.500 0.500 0.500



Record 2
A plane-wave DFT calculation with GGA-PBE was carried out for a geometry-optimized ScNiGe structure.

E_form = -0.818 eV/atom

a = 4.090 Å, b = 6.477 Å, c = 7.087 Å
α = 90.00°, β = 90.00°, γ = 90.00°
Element x y z (fractional)
Sc 0.750 0.005 0.707
Sc 0.250 0.995 0.293
Ni 0.750 0.813 0.078
Ge 0.750 0.206 0.094
Ge 0.250 0.794 0.906
Ni 0.750 0.313 0.422
Ge 0.750 0.706 0.406
Sc 0.250 0.495 0.207
Ni 0.250 0.687 0.578
Ni 0.250 0.187 0.922
Ge 0.250 0.294 0.594
Sc 0.750 0.505 0.793



Record 3
A plane-wave DFT calculation with GGA-PBE was carried out for a geometry-optimized Y2Fe14C structure.

total magnetic moment = 120.02 μB per cell
E_form = -0.068 eV/atom

a = 8.700 Å, b = 8.700 Å, c = 11.724 Å
α = 90.00°, β = 90.00°, γ = 90.00°
Element x y z (fractional)
Fe 0.963 0.642 0.325
Fe 0.037 0.358 0.675
Fe 0.598 0.402 0.796
Fe 0.225 0.566 0.621
C 0.626 0.374 0.500
Fe 0.934 0.725 0.121
Fe 0.000 0.000 0.108
Y 0.858 0.142 0.500
Fe 0.934 0.725 0.879
Fe 0.818 0.182 0.754
Fe 0.318 0.318 0.746
Fe 0.463 0.858 0.825
Fe 0.858 0.463 0.175
Fe 0.682 0.682 0.254
Fe 0.725 0.934 0.121
Fe 0.537 0.142 0.175
Fe 0.000 0.500 0.000
Fe 0.963 0.642 0.675
Fe 0.537 0.142 0.825
Fe 0.142 0.537 0.175
Fe 0.725 0.934 0.879
Fe 0.682 0.682 0.746
Fe 0.434 0.775 0.379
Y 0.142 0.858 0.500
Fe 0.642 0.963 0.675
C 0.126 0.126 0.000
Fe 0.098 0.098 0.704
Fe 0.500 0.000 0.500
C 0.874 0.874 0.000
Fe 0.275 0.066 0.879
Fe 0.463 0.858 0.175
Fe 0.500 0.000 0.000
Fe 0.098 0.098 0.296
Fe 0.598 0.402 0.204
Fe 0.566 0.225 0.379
Fe 0.000 0.000 0.892
Y 0.762 0.238 0.000
Fe 0.858 0.463 0.825
Y 0.358 0.358 0.000
Fe 0.182 0.818 0.246
Fe 0.434 0.775 0.621
Fe 0.318 0.318 0.254
Fe 0.037 0.358 0.325
Fe 0.358 0.037 0.325
Fe 0.225 0.566 0.379
Fe 0.566 0.225 0.621
Fe 0.775 0.434 0.379
Fe 0.066 0.275 0.121
Fe 0.182 0.818 0.754
Fe 0.902 0.902 0.704
Fe 0.818 0.182 0.246
Y 0.262 0.262 0.500
Fe 0.402 0.598 0.796
Y 0.238 0.762 0.000
Fe 0.142 0.537 0.825
Fe 0.066 0.275 0.879
Y 0.738 0.738 0.500
Fe 0.775 0.434 0.621
Fe 0.642 0.963 0.325
Fe 0.000 0.500 0.500
Fe 0.500 0.500 0.392
Fe 0.500 0.500 0.608
Fe 0.358 0.037 0.675
C 0.374 0.626 0.500
Fe 0.402 0.598 0.204
Fe 0.275 0.066 0.121
Fe 0.902 0.902 0.296
Y 0.642 0.642 0.000



Record 4
A plane-wave DFT calculation with GGA-PBE was carried out for a geometry-optimized Tm2C3 structure.

total magnetic moment = 0.02 μB per cell
E_form = -0.274 eV/atom

a = 7.006 Å, b = 7.006 Å, c = 7.006 Å
α = 109.47°, β = 109.47°, γ = 109.47°
Element x y z (fractional)
C 0.958 0.208 0.750
Tm 0.000 0.399 0.500
Tm 0.399 0.500 0.000
Tm 0.500 0.000 0.899
C 0.750 0.792 0.042
C 0.750 0.958 0.208
C 0.208 0.750 0.958
C 0.542 0.292 0.250

E-Learning apps are not only for informative, academic and formal courses but also for many different types of courses. Cooking, painting, sculpture, photography, but also music, can be subjects of online courses. The app FastPiano is an application dedicated to learning the piano online through many types of diversified content.
It's an application for everyone, which is aimed at a very large target audience whose motivation is to learn this musical instrument. Its design and its UX are more neutral, to be adapted to the largest number of people while remaining easy to understand and use.
The Home is minimalist. The main objective of this app is to propose several kinds of content in order to diversify the methods. Different media are used: video content through tutorials, as well as live lessons, podcasts, and written articles in the blog section. That way, everyone can go to their favorite type of content and find an adapted learning experience.

Online courses also include areas related to well-being and health, whether physical or mental. LotusYoga is an app for online meditation and yoga classes, which is therefore aimed at a completely different audience than the previous ones.
Like FastPiano, LotusYoga uses different types of content to vary its learning methods. It is the video format that is preferred and highlighted in the Home of the app. It is the most suitable content since it is possible to do a session at the same time as the coaches. Moreover, the videos are organized according to the needs of users, there is for example a section dedicated to pregnant women, a more specific target. There are also some additional articles and podcasts for truly complete sessions.
This app also aims to create a community of active users, thanks to the calendar. This allows you to organize events such as group classes, by giving meeting points using the location feature proposed by GoodBarber.
Key features for a good online course app

# Data records, as found in the file
<<<
[1]
VASP calculation (GGA+U) on a geometry-optimized Li2MnVP2O8F2 structure.

abc: 5.2005 10.4871 10.5045
angles: 78.37 82.71 80.53
Fractional coordinates of all 48 atoms:
Li 0.0043 0.0804 0.2702
Li 0.3332 0.5871 0.3980
Li 0.3327 0.7463 0.9339
Li 0.6673 0.2537 0.0661
Li 0.6668 0.4129 0.6020
Li 0.9957 0.9196 0.7298
Mn 0.3320 0.6660 0.6672
Mn 0.5000 0.0000 0.5000
Mn 0.6680 0.3340 0.3328
V 0.0000 0.0000 0.0000
V 0.1681 0.3319 0.8332
V 0.8319 0.6681 0.1668
P 0.1483 0.2942 0.5290
P 0.1878 0.3731 0.1366
P 0.4824 0.9625 0.1997
P 0.5176 0.0375 0.8003
P 0.8122 0.6269 0.8634
P 0.8517 0.7058 0.4710
O 0.0280 0.3236 0.6652
O 0.0581 0.6999 0.8163
O 0.0763 0.6396 0.5581
O 0.1193 0.5213 0.1338
O 0.2196 0.1467 0.5309
O 0.2575 0.0260 0.1127
O 0.2765 0.9627 0.8514
O 0.3064 0.3421 0.0011
O 0.3632 0.9930 0.3354
O 0.3924 0.3689 0.4809
O 0.4110 0.3076 0.2243
O 0.4499 0.1853 0.8001
O 0.5501 0.8147 0.1999
O 0.5890 0.6924 0.7757
O 0.6076 0.6311 0.5191
O 0.6368 0.0070 0.6646
O 0.6936 0.6579 0.9989
O 0.7235 0.0373 0.1486
O 0.7425 0.9740 0.8873
O 0.7804 0.8533 0.4691
O 0.8807 0.4787 0.8662
O 0.9237 0.3604 0.4419
O 0.9419 0.3001 0.1837
O 0.9720 0.6764 0.3348
F 0.0672 0.8014 0.0626
F 0.2514 0.8691 0.6040
F 0.4051 0.4597 0.7321
F 0.5949 0.5403 0.2679
F 0.7486 0.1309 0.3960
F 0.9328 0.1986 0.9374

Values from the calculation:
distance to the lowest polymorph of the same formula = 0.45 eV/f.u.

[2]
VASP calculation (GGA+U) on a geometry-optimized Li2MnSO4F3 structure.

abc: 9.5493 7.4803 7.2939
angles: 90.00 90.00 90.00
Fractional coordinates of all 44 atoms:
Li 0.1986 0.1581 0.2260
Li 0.1986 0.8419 0.7260
Li 0.3014 0.3419 0.7260
Li 0.3014 0.6581 0.2260
Li 0.6986 0.3419 0.7740
Li 0.6986 0.6581 0.2740
Li 0.8014 0.1581 0.2740
Li 0.8014 0.8419 0.7740
Mn 0.0000 0.5000 0.0000
Mn 0.0000 0.5000 0.5000
Mn 0.5000 0.0000 0.0000
Mn 0.5000 0.0000 0.5000
S 0.0000 0.1667 0.7500
S 0.0000 0.8333 0.2500
S 0.5000 0.3333 0.2500
S 0.5000 0.6667 0.7500
O 0.0836 0.2892 0.6241
O 0.0836 0.7108 0.1241
O 0.1025 0.0584 0.8456
O 0.1025 0.9416 0.3456
O 0.3975 0.4416 0.3456
O 0.3975 0.5584 0.8456
O 0.4164 0.2108 0.1241
O 0.4164 0.7892 0.6241
O 0.5836 0.2108 0.3759
O 0.5836 0.7892 0.8759
O 0.6025 0.4416 0.1544
O 0.6025 0.5584 0.6544
O 0.8975 0.0584 0.6544
O 0.8975 0.9416 0.1544
O 0.9164 0.2892 0.8759
O 0.9164 0.7108 0.3759
F 0.0000 0.3360 0.2500
F 0.0000 0.6640 0.7500
F 0.1792 0.4080 0.9755
F 0.1792 0.5920 0.4755
F 0.3208 0.0920 0.4755
F 0.3208 0.9080 0.9755
F 0.5000 0.1640 0.7500
F 0.5000 0.8360 0.2500
F 0.6792 0.0920 0.0245
F 0.6792 0.9080 0.5245
F 0.8208 0.4080 0.5245
F 0.8208 0.5920 0.0245

[3]
VASP calculation (GGA+U) on a geometry-optimized LiMnSO4F structure.

abc: 5.2767 5.6710 7.5735
angles: 107.14 108.42 96.34
Fractional coordinates of all 16 atoms:
Li 0.2393 0.3800 0.2072
Li 0.7607 0.6200 0.7928
Mn 0.5000 0.0000 0.0000
Mn 0.5000 0.0000 0.5000
S 0.1734 0.3689 0.7572
S 0.8266 0.6311 0.2428
O 0.1003 0.7512 0.4002
O 0.1716 0.6411 0.8509
O 0.2264 0.2480 0.9122
O 0.3927 0.3493 0.6714
>>>
# So much for the data records

Your GoodBarber back office allows you to manage everything from a single place: thanks to a single interface, it is possible to plan the publication of your courses, manage your content as well as your users.
The planning and organization of your courses require the use of several features. You can plan your content in advance thanks to our calendar.
Our CMS allows you to categorize your lessons into modules and chapters according to their subjects. The different types of content can be internal to the app, i.e. published directly from the tool through the sections, but also external. Goodbarber offers a CMS to redirect your content and connectors to synchronize it from external platforms, there are about thirty connectors like WordPress, Youtube, RSS, Podcast Feed, Vimeo, Twitter, for example.
Offering a search engine is particularly important for online course applications, it will allow your users to find categories, topics, and relevant content according to their interests.

From your GoodBarber back office, it's possible to schedule automatic notificationsto be sent whenever new content is added to any section of your app. Ideal to automatically inform your users of new lessons available or live tutorials. They can also be targeted according to user groups, allowing you to adapt your strategy for each profile. It's a motivating, loyalty-building feature that reminds your users to come back to your app.

Records of crystals from another source follow:
'''
Entry 1:
Below is a relaxed structure of NpBi, with properties calculated at the PBE level.

Results
Space group   Fm-3m, No. 225
Energy   -8.330 eV/atom
Formation energy   0.09 eV per atom

a = 6.3700 Å, b = 6.3700 Å, c = 6.3700 Å
α = 90.00°, β = 90.00°, γ = 90.00°
Closest atoms and distances in Å follow each position.
Positions (direct):
1 Np 0.0000 0.0000 0.0000  6 Bi 3.18
2 Np 0.0000 0.5000 0.5000  6 Bi 3.18
3 Np 0.5000 0.0000 0.5000  6 Bi 3.18
4 Np 0.5000 0.5000 0.0000  6 Bi 3.18
5 Bi 0.0000 0.0000 0.5000  6 Np 3.18
6 Bi 0.0000 0.5000 0.0000  6 Np 3.18
7 Bi 0.5000 0.0000 0.0000  6 Np 3.18
8 Bi 0.5000 0.5000 0.5000  6 Np 3.18


Entry 2:
Below is a relaxed structure of LiNdS2, with properties calculated at the PBE level.

Results
Space group   R-3m, No. 166
Energy   -5.512 eV/atom
Formation energy   -2.03 eV per atom

a = 4.0576 Å, b = 4.0576 Å, c = 18.6894 Å
α = 90.00°, β = 90.00°, γ = 120.00°
Closest atoms and distances in Å follow each position.
Positions (direct):
1 Li 0.0000 0.0000 0.0000  6 S 2.79
2 Li 0.3333 0.6667 0.6667  6 S 2.79
3 Li 0.6667 0.3333 0.3333  6 S 2.79
4 Nd 0.0000 0.0000 0.5000  6 S 2.84
5 Nd 0.3333 0.6667 0.1667  6 S 2.84
6 Nd 0.6667 0.3333 0.8333  6 S 2.84
7 S 0.0000 0.0000 0.2522  3 Li 2.79, 3 Nd 2.84
8 S 0.0000 0.0000 0.7478  3 Li 2.79, 3 Nd 2.84
9 S 0.3333 0.6667 0.4145  3 Li 2.79, 3 Nd 2.84
10 S 0.3333 0.6667 0.9189  3 Li 2.79, 3 Nd 2.84
11 S 0.6667 0.3333 0.0811  3 Li 2.79, 3 Nd 2.84
12 S 0.6667 0.3333 0.5855  3 Li 2.79, 3 Nd 2.84


Entry 3:
Below is a relaxed structure of Li5CrS4, with properties calculated at the PBE level.

Results
Space group   Immm, No. 71
Energy   -4.678 eV/atom
Formation energy   -1.31 eV per atom

a = 7.6021 Å, b = 7.6021 Å, c = 7.6021 Å
α = 151.55°, β = 127.11°, γ = 61.15°
Closest atoms and distances in Å follow each position.
Positions (direct):
1 Li 0.0000 0.0000 0.0000  4 S 2.55
2 Li 0.1075 0.3225 0.7850  4 S 2.33-2.53
3 Li 0.4625 0.6775 0.7850  4 S 2.33-2.53
4 Li 0.5375 0.3225 0.2150  4 S 2.33-2.53
5 Li 0.8925 0.6775 0.2150  4 S 2.33-2.53
6 Cr 0.5000 0.0000 0.5000  6 S 2.49-2.59
7 S 0.2572 0.5000 0.7572  4 Li 2.33-2.55, 2 Cr 2.49
8 S 0.3020 0.8020 0.5000  6 Li 2.38-2.53, 1 Cr 2.59
9 S 0.6980 0.1980 0.5000  6 Li 2.38-2.53, 1 Cr 2.59
10 S 0.7428 0.5000 0.2428  4 Li 2.33-2.55, 2 Cr 2.49


Entry 4:
Below is a relaxed structure of Ca2SnS4, with properties calculated at the PBE level.

Results
Offset from the most stable computed form   0.388 eV/atom
Space group   P6_3mc, No. 186
Energy   -4.513 eV/atom
Formation energy   -1.29 eV per atom

a = 7.5304 Å, b = 7.5304 Å, c = 7.8646 Å
α = 90.00°, β = 90.00°, γ = 120.00°
Closest atoms and distances in Å follow each position.
Positions (direct):
1 Ca 0.0000 0.0000 0.0000  6 S 2.90-2.95
2 Ca 0.0000 0.0000 0.5000  6 S 2.90-2.95
3 Ca 0.3333 0.6667 0.4964  1 S 2.54
4 Ca 0.6667 0.3333 0.9964  1 S 2.54
5 Sn 0.3333 0.6667 0.1065  4 S 2.26-2.44
6 Sn 0.6667 0.3333 0.6065  4 S 2.26-2.44
7 S 0.1658 0.3316 0.2454  1 Sn 2.44
'''

It's necessary to use built-in analytics as well as external tools to understand which courses work best. The GoodBarber dashboard provides you with detailed statistics of your app. This is data that will help you understand your users' behavior, and then inform the amount and type of traffic on your app. You can also use external tools, such as Google Analytics for Firebase, Google Tag Manager, Countly, or Flurry, to get more detailed results. Once all this information is taken into account, you can adapt and perfect your app according to your users' expectations.
How to monetise your online course app
Let's start with the easiest way to make money with your app: advertising.
With GoodBarber, you can display externals and/or create your own ads and sell their placement.
- External ads: With the External ads add-on, you can connect to third-party ads network like AdMob, Ad Manager or Facebook. GoodBarber will retrieve and display automatically the ads.
- Selling ads placement: This solution suits both radio stations with high traffic and local ones. First, you will need to install the (free) Internal ads add-on. This feature allows you to create your own ads. It might be more interesting for you to deal directly with advertisers and/or local businesses to sell ads placements in your app. You can find brands that fit your niche and offer them to place ads for their products or services on your app. If you're a local radio, local events or festivals could be another option.
In-App Purchase has become very popular and lucrative, and especially subscriptions as they provide you with a recurring, reliable income as well as a more loyal and engaged audience.
When planning your content and deciding your strategy regarding your subscriptions, remember that the trial period is important to motivate the user to engage in learning.
While course sections should be subscription-based, after a first free trial course, additional sections providing more resources can be accessible also for free.
For example, if your eLearning app is for a musical instrument or a language, the course sections, such as the video section, can be subject to subscription, while the blog sections offering tips for progress, testimonials, bibliographies can be free.
The GoodBarber in-app purchases add-on offers you the possibility to define exactly how you want your content to be accessed: what do you want to offer for free, what content should be paid, the duration of the subscription period, etc.
Best practices to follow
Engage and Retain Your Students:
There are several ways to create engagement consistently through an online course app. First, the more diverse formats you use, the more engaging your courses will be. This is because users will be able to switch between a video, a blog post, or a podcast, making learning less redundant. Plus, Live is one of the best features! It allows your audience to react live and promotes engagement. By scheduling this through the calendar, your students will know when to meet up with you on a regular basis, and thus continue to use your app over the long term, feeling closer to you. You should also allow users to share content they find interesting on social networks, native sharing allows you to transfer any link or image to another app or platform (Facebook, Twitter, Instagram and many others) without ever leaving your app. The Favorites tab allows your learners to keep their favorite content in a separate section and find it whenever they want, which encourages interaction!
Create a real student community :
Many features allow your users to interact within the app. Comments allow them to give their opinions, ask questions, debate, and this way, they feel important. It's also a way for you to stay attentive to their needs and remarks, in order to adapt your app accordingly.
You can also allow your users to share content. Through the Submit section, they can send their requests, photos, impressions, and you can share them again later. User engagement and satisfaction is the best form of advertising, they are a reflection of your app, and they can be a great addition, whether it is simply informative or entertaining.
Add-ons Community, Chat, and User Groups, also allow your learners to communicate with each other and create bonds, a way to make your app more enjoyable to use.